Customize New Universal Login with the No-Code Editor

Customize New Universal Login with the No-Code Editor

With Auth0's No-Code Editor, you can style widgets in the New Universal Login experience to fit your brand. You can personalize the color, font, borders, and backgrounds of the widgets your customers see for login, password reset, authentication, and more.

To customize Universal Login prompts, navigate to Auth0 Dashboard > Branding > Customizations.


The Style panel on the left allows you to choose the UI element you want to customize. Select the option to generate the configuration panel on the right.


Select an input field to change the color of the element. To choose specific colors, you can:

  • Use the color picker.

  • Input the Hex code or RGB value.

  • Select the eyedropper tool to choose a color from your screen for the available elements.

Element Description
Primary button Fills primary button, or button that triggers the next action, with color choice.
Primary button label Changes color of text within primary button.
Secondary button border Changes border on input fields.
Secondary button label Changes text within clickable secondary fields.
Links and focused components Changes text color of links that lead users to trigger another workflow, such as reset password or try another authentication method.
Base focus color Changes the color of buttons when the mouse hovers over the button before selection.
Base hover color Changes the color of a button when user clicks on it.
Header Changes the text color of the title in the header.
Body text Changes the text color of body text.
Widget background Changes the background color of widgets.
Widget border Changes the border color of the widgets.
Input labels and placeholders Changes the text of input field labels and placeholder text.
Input filled text Changes text color users type in input fields. For example, username and password fields.
Input border Changes border color of input fields.
Input background Changes background color of input fields.
Icons Changes color of icons inside input fields.
Error Changes color of error messages within widgets.
Success Changes color of success message within widgets.

Once you make a change, the preview window displays several examples of the widgets with your specified changes.

To change the default font, enter the URL to any WOFF (Web Open Font Format) file in the input field. Your WOFF files need to be hosted using a CDN with CORS enabled or a hosting site with Access-Control-Allow-Origin header.

_Here the page breaks off for quantum chemistry results_
<<<
[1]
{
  "formula": "C20H35AsCdN3O2Si2",
  "method": "ωB97M-V/def2-TZVPD",
  "charge": -1,
  "lumo_ev": 2.893,
  "homo_energy_ev": -4.01,
  "homo_lumo_gap_ev": 6.8991,
  "multiplicity": 1,
  "elements": ["Cd", "C", "C", "C", "C", "C", "H", "H", "H", "H", "H", "C", "Si", "C", "C", "As", "Si", "C", "C", "C", "H", "H", "H", "H", "H", "H", "H", "H", "H", "H", "H", "H", "H", "H", "H", "H", "H", "H", "C", "C", "C", "C", "N", "N", "C", "H", "H", "H", "H", "H", "H", "H", "H", "O", "C", "C", "C", "C", "O", "N", "H", "H", "H", "H"],
  "positions_angstrom": [[0.156, 1.205, -0.946], [-2.430, 1.906, -2.360], [-1.957, 2.707, -1.281], [-0.798, 3.404, -1.739], [-0.577, 3.023, -3.088], [-1.589, 2.113, -3.467], [-3.313, 1.285, -2.339], [-2.473, 2.892, -0.354], [-0.273, 4.177, -1.202], [0.208, 3.412, -3.721], [-1.678, 1.624, -4.427], [0.532, 4.298, 2.842], [0.206, 2.452, 2.711], [-1.651, 2.227, 2.618], [0.706, 1.727, 4.374], [1.640, 1.617, 1.071], [-1.199, -1.639, 1.751], [-0.681, -3.339, 1.154], [-1.963, -1.895, 3.434], [-2.504, -1.006, 0.576], [-0.004, 4.723, 3.701], [0.217, 4.837, 1.939], [1.604, 4.474, 2.979], [-2.160, 2.931, 3.288], [-1.900, 1.208, 2.924], [-2.034, 2.375, 1.604], [0.225, 2.273, 5.196], [1.791, 1.772, 4.515], [0.400, 0.675, 4.426], [-0.312, -3.962, 1.978], [0.108, -3.292, 0.395], [-1.554, -3.842, 0.717], [-1.225, -2.329, 4.118], [-2.816, -2.587, 3.371], [-2.320, -0.957, 3.873], [-2.100, -0.829, -0.426], [-2.916, -0.051, 0.922], [-3.332, -1.721, 0.481], [0.427, -3.918, -3.284], [0.564, -2.441, -3.415], [1.262, -1.658, -4.303], [1.098, -0.332, -3.847], [0.313, -0.311, -2.781], [-0.014, -1.594, -2.553], [1.683, 0.924, -4.412], [0.972, -4.413, -4.088], [-0.618, -4.233, -3.327], [0.855, -4.239, -2.331], [1.867, -1.991, -5.133], [-0.446, -1.831, -1.679], [2.319, 0.690, -5.265], [2.287, 1.440, -3.664], [0.897, 1.607, -4.729], [-0.050, -0.469, 1.985], [1.243, -0.363, 1.342], [2.300, -1.127, 2.170], [3.132, -1.818, 1.095], [2.190, -1.851, -0.117], [2.388, -2.605, -1.084], [1.184, -0.971, 0.041], [1.779, -1.861, 2.791], [2.865, -0.469, 2.824], [3.458, -2.825, 1.343], [4.007, -1.230, 0.814]],
  "nbo_charge": [1.469, -0.347, -0.435, -0.439, -0.364, -0.339, 0.204, 0.212, 0.220, 0.200, 0.200, -1.122, 1.374, -1.118, -1.125, -0.475, 1.953, -1.166, -1.150, -1.162, 0.218, 0.231, 0.231, 0.219, 0.230, 0.233, 0.217, 0.229, 0.241, 0.230, 0.262, 0.227, 0.232, 0.224, 0.234, 0.226, 0.245, 0.227, -0.650, 0.217, -0.356, 0.177, -0.376, -0.321, -0.642, 0.219, 0.211, 0.259, 0.216, 0.425, 0.209, 0.227, 0.237, -0.980, 0.267, -0.477, -0.506, 0.638, -0.740, -0.836, 0.199, 0.211, 0.210, 0.215]
}


[2]
{
  "formula": "C2H3Br2FSi",
  "method": "ωB97M-V/def2-TZVPD",
  "charge": 0,
  "smiles": "C=C[Si](F)(Br)Br",
  "lumo_ev": -1.011,
  "de_lowest_kcal_mol": 39.3,
  "homo_energy_ev": -9.98,
  "homo_lumo_gap_ev": 8.9642,
  "multiplicity": 1,
  "elements": ["C", "C", "F", "Si", "Br", "Br", "H", "H", "H"],
>>>
_End of the quantum chemistry results_

Under the font URL panel, adjust the general text size under the Reference text size pixel option. You should note the rest of the options do not change when the reference text is changed.

Change the following elements individually:

  • Title

### Here the piece breaks off for quantum chemistry results
/*
[1]
Formula: C14H16O
Source: the OMol25 dataset
Level of theory: wB97M-V/def2-TZVPD

Geometry as XYZ:
```
31
C14H16O | the OMol25 dataset | wB97M-V/def2-TZVPD
O 1.583 -0.498 -1.206
C 2.722 0.556 1.705
C -3.333 -0.094 -1.791
C -3.132 -0.139 -0.421
C 2.303 -0.704 1.566
C 0.886 1.712 0.573
C 1.943 1.730 1.359
C 0.814 -2.609 0.893
C 0.617 -0.395 -0.239
C 0.933 -1.090 1.069
C -0.961 -0.231 -2.126
C -0.743 -0.305 -0.745
C -0.052 2.709 0.060
C -1.857 -0.241 0.100
C -2.237 -0.135 -2.640
H 2.437 -0.597 -0.765
H 2.295 2.669 1.788
H -0.012 3.629 0.648
H -1.071 2.318 0.082
H -2.383 -0.095 -3.710
H -0.209 -2.880 0.642
H -4.332 -0.024 -2.194
H 0.185 2.942 -0.980
H -3.979 -0.093 0.248
H -0.109 -0.262 -2.786
H 1.098 -3.121 1.810
H 2.949 -1.520 1.859
H 3.703 0.743 2.121
H 0.205 -0.762 1.820
H -1.726 -0.265 1.171
H 1.465 -2.950 0.088
```

The calculation puts the LUMO energy (spin up / spin down) at 0.59 / 0.59 eV. The total energy comes out at -618.2098 hartree. The value obtained for the HOMO energy (spin up / spin down) is -0.2732 / -0.2732 Eh. As for the largest force on an atom: 4.0 eV/Å. The value obtained for the HOMO-LUMO gap (spin up / spin down) is 8.03 / 8.03 eV. The value obtained for the energy relative to the best compared isomer or geometry (same formula, charge and spin) is 2.891 eV.

[2]
Formula: C14H16O
Source: the OMol25 dataset
Level of theory: wB97M-V/def2-TZVPD

Geometry as XYZ:
```
31
C14H16O | the OMol25 dataset | wB97M-V/def2-TZVPD
O -2.839 -0.663 -1.417
C -1.176 1.605 0.821
C 2.762 -1.136 -1.537
C -3.470 1.514 1.484
C -2.669 0.216 -0.379
C -3.687 0.569 0.479
C 3.737 -1.888 -0.858
C -2.226 2.113 1.605
C 1.445 -1.236 -1.131
C -1.370 0.681 -0.193
C 2.097 -2.534 0.817
C 3.409 -2.580 0.293
C -2.004 3.210 2.622
C 3.163 -0.390 -2.781
C 1.124 -1.961 0.033
H 2.417 0.369 -3.046
H 3.149 -1.095 -3.625
H -4.307 1.920 2.028
H 4.121 0.106 -2.820
H 4.091 -3.332 0.668
H 0.113 -1.854 0.361
H -0.978 3.551 2.724
H -2.599 4.054 2.273
H -0.489 0.443 -0.746
H -2.420 2.950 3.583
H 4.682 -2.110 -1.335
H -0.201 1.951 1.156
H -3.786 -0.846 -1.540
H 0.657 -0.597 -1.482
H 1.949 -3.234 1.631
H -4.696 0.205 0.311
```

The calculation puts the LUMO energy at 0.85 eV. The total energy comes out at -618.2820 hartree. The value obtained for the HOMO energy is -0.3082 Eh. As for the largest force on an atom: 2.1 eV/Å. The value obtained for the HOMO-LUMO gap is 9.23 eV. As for the structure (SMILES): Cc1ccc(O)cc1.Cc1ccccc1. The value obtained for the energy relative to the best compared isomer or geometry (same formula, charge and spin) is 0.926 eV.

[3]
Formula: C14H16O2
Source: the OMol25 dataset
Level of theory: wB97M-V/def2-TZVPD

Geometry as XYZ:
```
32
C14H16O2 | the OMol25 dataset | wB97M-V/def2-TZVPD
O 3.093 -0.052 -2.731
O -0.803 -4.844 -0.177
C 1.760 0.466 -0.778
C 2.456 2.169 -2.349
C -1.917 0.245 2.023
C 1.595 3.074 -1.705
C -1.600 -1.116 1.441
C -0.039 -2.927 1.090
C 2.441 0.866 -1.931
C -1.029 -3.615 0.407
C -0.292 3.522 -0.125
C 0.793 2.621 -0.676
*/

  • Subtitle

  • Body Text

  • Button Text

  • Input Labels

  • Links

When you select an option to configure, the preview pane displays the location of the element on the widget and adjusts to the specified size.

To customize the borders, buttons styles, input fields, and widget corners adjust the slider or choose from the available options.

Option Description
Button border weight Adjusts width of border around input fields inside login prompts.
Buttons style Changes shape of clickable buttons inside widgets. Available options are: sharp corners, rounded corners, or pill-shaped style.
Button border radius Adjusts corners of clickable buttons when you select rounded corners.
Input border weight Adjusts width of borders of input fields and clickable buttons inside login prompts.
Inputs style Changes shape of input fields inside login prompts. Available options are: sharp corners, rounded corners, or pill-shaped style.
Input border radius Adjusts corners of input fields when you select rounded corners.
Widget corner radius Changes shape of the widget from sharp to rounded corners.
Widget border weight Adjusts width of widget border.
Shadow Checkbox to allow widgets to have a shadow.

Add the URL of your logo to configure the position, height, text alignment, and social login location.

Element Description
Logo position Choose the location of the widget to be on the left, right, or center of the page. You can also choose to hide the logo.
Logo URL Enter the URL location of your custom logo. Auth0 recommends SVG files.
Logo Height Adjust the size of your logo at the top of the widget.
Header Text Alignment Choose if text within the header should be left, right, or center justified.
Social Buttons Layout Choose if text should be at the top or bottom of the button.

Add a background image URL to choose a background to display in the prompt widget. The No-Code Editor supports other image formats such as PNGs and JPEGs.

Then, choose if the widget aligns center, left, or right on the screen.

Save and publish

The Save and publish option stores your changes and publishes for use in your tenant. You must save and publish before using the Try option.

Review changes

The Try option allows you to review your login experience and test functionality of your screens in a new browser tab. You can test screens not available in center preview window. If you cannot select the option, you must make or save changes first.


Use the Discard option to remove recent changes or you can choose to reset the prompts back to default.